Bayes on the Beach | Program

Main Program

9:30 am:   Registration

10:00 am:   Opening / Acknowledgement of Country

10:20 am:   Keynote:  Prof Antonietta Mira, USI Università della Svizzera italiana, "Investigating the price determinants of the European Carbon Trading System: a non-parametric approach"

11:20 am:   MORNING TEA

11:40 am:  Challenge Part 1

12:40 pm:   Contributed Talk: Dr Matt Moores, University of Wollongong: "Annealed Leap-Point MCMC for Multi-Modal Distributions"

1:00 pm:  LUNCH BREAK

2:30 pm:  Invited Speaker:  A/Prof Ole Maneesoonthorn, Monash University:  Efficient Variational Inference for Large Skew-t Copulas with Application to Intraday Equity Return

3:00 pm:  Contributed Talk:  Grace Yap Ching:  "Kalman filter with variational Bayesian in hierarchical long memory"

3:20 pm:  Contributed Talk: Prof Chris Drovandi, QUT:  "Bayesian score calibration for approximate models"

3:40 pm:   AFTERNOON TEA

4:00 pm:  Workshop 1


7:30 pm:   Poster Session


9:00 am:   Day 2 Open

9:10 am:    Keynote:  Prof Paul Bürkner, TU Dortmund University:  "Does Bayes have to be slow? A glimpse into amortized Bayesian inference"

10:10 am:  Workshop 2

(Inserted here: data records)
-- begin --
Material: CoBiF2
Method: DFT, GGA+U
State: relaxed

Cell lengths 6.1016, 6.1016, 6.1171 Å; angles 60.08, 60.08, 90.00 degrees
Last column: magnetic moment on the atom in μB.
Sites, in units of the cell vectors:
1 F 0.3001 0.6250 0.2500  0.07
2 F 0.3750 0.5501 0.7500  0.07
3 F 0.4499 0.1250 0.2500  0.07
4 F 0.8750 0.6999 0.7500  0.07
5 Co 0.2500 0.7500 0.5000  2.76
6 Co 0.5000 0.5000 0.0000  2.76
7 Bi 0.7500 0.2500 0.5000  0.01
8 Bi 0.0000 0.0000 0.0000  0.01

## Properties
Relative energy among the computed polymorphs   241 meV/atom
Total magnetic moment   5.98 Bohr magnetons per cell
V   20.18 A^3/atom

=====

Record 1
DFT (PBE-GGA) results for YFeSbI2 after structural relaxation.

Computed properties:
Total DFT energy (no corrections): -21.252 eV per cell
Magnetization: 0.000 μB per atom
Energy relative to the elements, uncorrected: 0.90 eV per formula unit
Polymorph energy (0 for the lowest one): 0.0000 eV per atom

Geometry as POSCAR:
```
YFeSbI2
1.0
-1.538 4.912 -0.767
-4.537 -1.715 -1.884
-1.980 0.109 4.669
I Sb Y Fe
2 1 1 1
direct
0.000 0.500 0.000 I
0.500 0.000 0.000 I
0.000 0.000 0.500 Sb
0.500 0.500 0.500 Y
0.000 0.000 0.000 Fe
```

Record 2
DFT (PBE-GGA) results for TbPm3Dy2 after structural relaxation.

Computed properties:
Total DFT energy (no corrections): -55.428 eV per cell
Magnetization: 0.000 μB per atom
Formation energy: 0.372 eV/f.u.
Polymorph energy (0 for the lowest one): 0.0000 eV per atom

Geometry as POSCAR:
```
TbPm3Dy2
1.0
-1.804 -4.956 -2.174
5.816 -1.760 6.669
-9.322 2.687 1.610
Tb Pm Dy
2 6 4
direct
0.876 0.752 0.882 Tb
0.124 0.248 0.118 Tb
0.251 0.502 0.577 Pm
0.998 0.997 0.667 Pm
0.625 0.250 0.633 Pm
0.375 0.750 0.367 Pm
0.002 0.003 0.333 Pm
0.749 0.498 0.423 Pm
0.499 0.998 0.835 Dy
0.501 0.002 0.165 Dy
0.749 0.498 0.087 Dy
0.251 0.502 0.913 Dy
```

Record 3
DFT (PBE-GGA) results for TaFeSb2 after structural relaxation.

Computed properties:
Total DFT energy (no corrections): -28.274 eV per cell
Magnetization: 0.526 μB per atom
Energy relative to the elements, uncorrected: 0.29 eV per formula unit
Polymorph energy (0 for the lowest one): 0.0409 eV per atom

Geometry as POSCAR:
```
TaFeSb2
1.0
4.291 0.000 0.000
0.000 3.689 0.083
0.000 1.736 5.087
Fe Sb Ta
1 2 1
direct
0.500 0.552 0.771 Fe
0.000 0.981 0.912 Sb
0.500 0.273 0.330 Sb
0.000 0.694 0.486 Ta
```

Record 4
DFT (PBE-GGA) results for Ga2TcH5 after structural relaxation.

Computed properties:
Total DFT energy (no corrections): -33.357 eV per cell
Magnetization: 0.000 μB per atom

Geometry as POSCAR:
```
Ga2TcH5
1.0
4.765 0.709 1.133
0.240 4.811 1.133
0.292 0.323 3.215
Ga Tc H
2 1 5
direct
0.182 0.637 0.625 Ga
0.637 0.182 0.625 Ga
0.073 0.073 0.962 Tc
0.878 0.417 0.887 H
0.198 0.198 0.336 H
0.559 0.559 0.475 H
0.417 0.878 0.887 H
0.833 0.833 0.202 H
```

Record 5
DFT (PBE-GGA) results for TlPdSe after structural relaxation.

Computed properties:
Total DFT energy (no corrections): -47.832 eV per cell
Magnetization: 0.000 μB per atom
-- stop --

11:10 am:  MORNING TEA

Data records that have nothing to do with the page:
Record 1
The following is a PBE calculation of a relaxed AcSmGePb crystal, from Alexandria.

Lattice parameters (Å, degrees): 5.5574 5.5574 5.5574 60.00 60.00 60.00
With the nearest neighbours (Å) after each atom.
Positions (direct):
1 Ac 0.0000 0.0000 0.0000  4 Ge 3.40, 4 Pb 3.40
2 Sm 0.5000 0.5000 0.5000  4 Ge 3.40, 4 Pb 3.40
3 Ge 0.2500 0.2500 0.2500  4 Ac 3.40, 4 Sm 3.40
4 Pb 0.7500 0.7500 0.7500  4 Ac 3.40, 4 Sm 3.40

* symmetry: F-43m (216)
* ΔH_f (0 K): -0.421 eV per atom

---

Record 2
The following is a PBE calculation of a relaxed Ac2SnGePb crystal, from Alexandria.

Lattice parameters (Å, degrees): 4.7756 9.5776 7.0635 90.00 90.00 90.00
With the nearest neighbours (Å) after each atom.
Positions (direct):
1 Ac 0.2500 0.0316 0.2368  3 Ge 3.41-3.42, 3 Sn 3.48-3.52, 2 Pb 3.60
2 Ac 0.2500 0.4684 0.2368  3 Ge 3.41-3.42, 3 Sn 3.48-3.52, 2 Pb 3.60
3 Ac 0.7500 0.5316 0.7632  3 Ge 3.41-3.42, 3 Sn 3.48-3.52, 2 Pb 3.60
4 Ac 0.7500 0.9684 0.7632  3 Ge 3.41-3.42, 3 Sn 3.48-3.52, 2 Pb 3.60
5 Sn 0.2500 0.7500 0.5479  1 Ge 2.78
6 Sn 0.7500 0.2500 0.4521  1 Ge 2.78
7 Ge 0.2500 0.7500 0.9420  1 Sn 2.78
8 Ge 0.7500 0.2500 0.0580  1 Sn 2.78
9 Pb 0.2500 0.2500 0.7691  2 Ge 3.14, 2 Sn 3.27
10 Pb 0.7500 0.7500 0.2309  2 Ge 3.14, 2 Sn 3.27

* symmetry: Pmmn (59)
* ΔH_f (0 K): -0.641 eV per atom

---

Record 3
The following is a PBE calculation of a relaxed AcSnGePb crystal, from Alexandria.

Lattice parameters (Å, degrees): 5.5501 5.5501 5.5501 60.00 60.00 60.00
With the nearest neighbours (Å) after each atom.
Positions (direct):
1 Ac 0.0000 0.0000 0.0000  4 Ge 3.40, 4 Sn 3.40
2 Sn 0.2500 0.2500 0.2500  4 Ac 3.40, 4 Pb 3.40
3 Ge 0.7500 0.7500 0.7500  4 Ac 3.40, 4 Pb 3.40
4 Pb 0.5000 0.5000 0.5000  4 Ge 3.40, 4 Sn 3.40

* symmetry: F-43m (216)
* ΔH_f (0 K): -0.200 eV per atom

---

Record 4
The following is a PBE calculation of a relaxed AcTbGePb crystal, from Alexandria.

Lattice parameters (Å, degrees): 5.5203 5.5203 5.5203 60.00 60.00 60.00
With the nearest neighbours (Å) after each atom.
Positions (direct):
1 Ac 0.0000 0.0000 0.0000  4 Ge 3.38, 4 Pb 3.38
2 Tb 0.5000 0.5000 0.5000  4 Ge 3.38, 4 Pb 3.38
3 Ge 0.7500 0.7500 0.7500  4 Tb 3.38, 4 Ac 3.38
4 Pb 0.2500 0.2500 0.2500  4 Tb 3.38, 4 Ac 3.38

* symmetry: F-43m (216)
* ΔH_f (0 K): -0.407 eV per atom

----------

(1)
First-principles (PBE-GGA) data for an optimized crystal structure of Ti5AlCo3, as listed in Alexandria.

Values from the calculation:
The volume comes out at 15.8 Å³/atom.

The structure in CIF format:
```
data_Ti5AlCo3
_chemical_formula_sum 'Ti20 Al4 Co12'
_cell_length_a 9.1704
_cell_length_b 6.9895
_cell_length_c 9.0987
_cell_angle_alpha 90.00
_cell_angle_beta 102.96
_cell_angle_gamma 90.00
_space_group_name_H-M_alt 'C 1 2/m 1'
_space_group_IT_number 12
loop_
_space_group_symop_operation_xyz
'x,y,z'
'-x,-y,-z'
'-x,y,-z'
'x,-y,z'
'x+1/2,y+1/2,z'
'-x+1/2,-y+1/2,-z'
'-x+1/2,y+1/2,-z'
'x+1/2,-y+1/2,z'
loop_
_atom_site_label
_atom_site_type_symbol
_atom_site_fract_x
_atom_site_fract_y

11:30 am:  Invited Speaker: Andrew Zammit-Mangion, University of Wollongong:  "Bayesian Neural Networks for Spatial Process Modelling"

12:00 pm:  Contributed Talk:  Dr Clara Grazian, University of Sydney: "Spatio-temporal stick-breaking process"

12:20 pm:  Contributed Talk:  Anna Menacher, University of Oxford: "Scaler-on-Image Regression with a Relaxed-Thresholded Gaussian Process Prior"

12:40 pm:  Contributed Talk:  Dr Julie Vercelloni, QUT: "ReefCloud: a spatio-temporal model to predict the health of coral reefs worldwide"

1:00 pm:   LUNCH BREAK

2:30 pm:  Dr KD Dang, University of Melbourne:  "Fitting Structural Equation Models via Variational Approximations"

3:00 pm:  Contributed Talk:  Marvin Schmitt, University of Stuttgart: "Towards Reliable Amortized Bayesian Inference"

3:20 pm:  Contributed Talk:  Dr Louis Sharrock, Lancaster University:  "Coin sampling: Gradient-Based Bayesian Inference without Learning Rates"


4:00 pm:  Invited Speaker:  Dr David Frazier, Monash University:  "Generalized Bayesian Inference with Intractable Discrepancies"

4:30 pm:  Challenge Part 2


7:30 pm:  Poster Session

8:15 am:  Day 3 Open

8:30 am:  Keynote:  Dr Mohammad Emtiyaz (Emti) Khan -  "The Bayesian Learning Rule"  (Zoom Presentation)

9:30 am:  Workshop 3 - Neural Bayes Estimation with Associate Professor Andrew Zammit Mangion

10:30 am:  MORNING TEA

10:50 am:  Invited Speaker: Prof Fabrizio Ruggeri, CNR-IMATI, Milano, Italy "An Adversarial risk Analysis Framework for the Software Release Program."

11:20 am:  Contributed Talk:  Dr Clair Alston-Knox, Predictive Analytics Group:  "Accreditation of new technologies for predicting meat quality: Combining Bayesian models and industry rules for transparent decisions"

11:40 am:  Contributed Talk:  Kohei Horinouchi:  "A New Framework for Multilevel Analysis Aiming at Optimal Prediction Based on Bayesian Decision"

12:00 pm:  Challenge presentation/close

1:20 pm:  LUNCH


Poster Presentations

  1. Adam Bretherton
  2. Alan Ryou Pearse
  3. Clair Alston-Knox
  4. Dilani Kaveendri Dambure Hewage
  5. Ethan Goan
  6. Nushrath Najimuddin
  7. Georgios Charizanos
  8. Getayeneh Antehunegn Tesema
  9. Harry Estreich
  10. John Lyons
  11. James Hogg
  12. Kenyon Ng
  13. Leah South
  14. Marcela Cespedes
  15. Matt Moores
  16. Navodya Abirami
  17. Sankalpa Fonseka
  18. Amir Rezaeian

  1. Nhat Minh Nguyen
  2. Owen Forbes
  3. Paul Wu
  4. Yu-Hsiu (Paco) Tseng
  5. Paul Brown
  6. M.P. Dhanushika
  7. Santiago Marin
  8. Sarah Vollert
  9. Virginie PERLO
  10. Xiaoyu Wang
  11. Yong Chen Goh
  12. Yuxin Huang
  13. Zemenu Tessema
  14. Mildred Lumwamu
  15. Jamintha Mudiyanselage
  16. Julie Vercelloni
  17. Anupama Mudiyanselage